Transcribe the whole of the calculation results further down verbatim, please.

'''
A plane-wave DFT calculation with PBE was carried out for an optimized crystal structure of AcThSn.

Cell and atoms, written as POSCAR:
```
AcThSn
1.0
0.000 3.836 3.836
3.836 0.000 3.836
3.836 3.836 0.000
Ac Th Sn
1 1 1
Direct
0.000 0.000 0.000 Ac
0.500 0.500 0.500 Th
0.250 0.250 0.250 Sn
```

The total magnetization is 0.00 μB/atom. As for the crystal system: cubic. The volume comes out at 113 Å³ per cell. The value obtained for the electronic total energy is -5.31 eV per atom. The calculation puts the excess energy over the best structure of this formula in the dataset at 0.000 eV per formula unit.


A plane-wave DFT calculation with PBE was carried out for an optimized crystal structure of AcSnW.

Cell and atoms, written as POSCAR:
```
AcSnW
1.0
0.000 3.470 3.470
3.470 0.000 3.470
3.470 3.470 0.000
Ac Sn W
1 1 1
Direct
0.000 0.000 0.000 Ac
0.500 0.500 0.500 Sn
0.750 0.750 0.750 W
```

The total magnetization is 0.13 μB/atom. As for the crystal system: cubic. The volume comes out at 84 Å³ per cell. The value obtained for the electronic total energy is -6.30 eV per atom. The calculation puts the excess energy over the best structure of this formula in the dataset at 0.000 eV per formula unit.


A plane-wave DFT calculation with PBE was carried out for an optimized crystal structure of AcSnW.

Cell and atoms, written as POSCAR:
```
AcSnW
1.0
0.000 3.735 3.735
3.735 0.000 3.735
3.735 3.735 0.000
Ac Sn W
1 1 1
Direct
0.000 0.000 0.000 Ac
0.750 0.750 0.750 Sn
0.250 0.250 0.250 W
```

The total magnetization is 1.16 μB/atom. As for the crystal system: cubic. The volume comes out at 104 Å³ per cell. The value obtained for the electronic total energy is -5.51 eV per atom. The calculation puts the excess energy over the best structure of this formula in the dataset at 2.383 eV per formula unit.


A plane-wave DFT calculation with PBE was carried out for an optimized crystal structure of AcZrSn.

Cell and atoms, written as POSCAR:
```
AcZrSn
1.0
0.000 3.692 3.692
3.692 0.000 3.692
3.692 3.692 0.000
Ac Zr Sn
1 1 1
Direct
0.000 0.000 0.000 Ac
0.500 0.500 0.500 Zr
0.250 0.250 0.250 Sn
```

The total magnetization is 0.01 μB/atom. As for the crystal system: cubic. The volume comes out at 101 Å³ per cell. The value obtained for the electronic total energy is -5.54 eV per atom. The calculation puts the excess energy over the best structure of this formula in the dataset at 0.000 eV per formula unit.

~~~~~

Run P
{
  "formula": "TbAgTe3Pb",
  "functional": "GGA-PBE",
  "state": "relaxed",
  "lattice": [[12.4750, 0.0000, 0.0000], [0.0000, 4.5403, 0.0000], [0.0000, 0.0000, 12.7377]],
  "species": ["Tb", "Tb", "Tb", "Tb", "Ag", "Ag", "Ag", "Ag", "Te", "Te", "Te", "Te", "Te", "Te", "Te", "Te", "Te", "Te", "Te", "Te", "Pb", "Pb", "Pb", "Pb"],
  "frac_coords": [[0.0264, 0.2500, 0.1888], [0.4736, 0.7500, 0.6888], [0.5264, 0.2500, 0.3112], [0.9736, 0.7500, 0.8112], [0.2377, 0.7500, 0.2941], [0.2623, 0.2500, 0.7941], [0.7377, 0.7500, 0.2059], [0.7623, 0.2500, 0.7059], [0.0272, 0.7500, 0.3645], [0.0910, 0.2500, 0.9373], [0.2194, 0.7500, 0.6716], [0.2806, 0.2500, 0.1716], [0.4090, 0.7500, 0.4373], [0.4728, 0.2500, 0.8645], [0.5272, 0.7500, 0.1355], [0.5910, 0.2500, 0.5627], [0.7194, 0.7500, 0.8284], [0.7806, 0.2500, 0.3284], [0.9090, 0.7500, 0.0627], [0.9728, 0.2500, 0.6355], [0.1917, 0.2500, 0.4804], [0.3083, 0.7500, 0.9804], [0.6917, 0.2500, 0.0196], [0.8083, 0.7500, 0.5196]],
  "m_tot_mub_per_cell": 0.0,
  "sg": "Pnma"
}

Run Q
{
  "formula": "TbAgTe3Pb",
  "functional": "GGA-PBE",
  "state": "relaxed",
  "lattice": [[2.1692, -7.4357, 0.0000], [2.1692, 7.4357, 0.0000], [0.0000, 0.0000, 11.2865]],
  "species": ["Tb", "Tb", "Ag", "Ag", "Te", "Te", "Te", "Te", "Te", "Te", "Pb", "Pb"],
'''

A plane-wave DFT calculation with PBE was carried out for an optimized crystal structure of AcThSn.

Cell and atoms, written as POSCAR:
```
AcThSn
1.0
0.000 3.836 3.836
3.836 0.000 3.836
3.836 3.836 0.000
Ac Th Sn
1 1 1
Direct
0.000 0.000 0.000 Ac
0.500 0.500 0.500 Th
0.250 0.250 0.250 Sn
```

The total magnetization is 0.00 μB/atom. As for the crystal system: cubic. The volume comes out at 113 Å³ per cell. The value obtained for the electronic total energy is -5.31 eV per atom. The calculation puts the excess energy over the best structure of this formula in the dataset at 0.000 eV per formula unit.


A plane-wave DFT calculation with PBE was carried out for an optimized crystal structure of AcSnW.

Cell and atoms, written as POSCAR:
```
AcSnW
1.0
0.000 3.470 3.470
3.470 0.000 3.470
3.470 3.470 0.000
Ac Sn W
1 1 1
Direct
0.000 0.000 0.000 Ac
0.500 0.500 0.500 Sn
0.750 0.750 0.750 W
```

The total magnetization is 0.13 μB/atom. As for the crystal system: cubic. The volume comes out at 84 Å³ per cell. The value obtained for the electronic total energy is -6.30 eV per atom. The calculation puts the excess energy over the best structure of this formula in the dataset at 0.000 eV per formula unit.


A plane-wave DFT calculation with PBE was carried out for an optimized crystal structure of AcSnW.

Cell and atoms, written as POSCAR:
```
AcSnW
1.0
0.000 3.735 3.735
3.735 0.000 3.735
3.735 3.735 0.000
Ac Sn W
1 1 1
Direct
0.000 0.000 0.000 Ac
0.750 0.750 0.750 Sn
0.250 0.250 0.250 W
```

The total magnetization is 1.16 μB/atom. As for the crystal system: cubic. The volume comes out at 104 Å³ per cell. The value obtained for the electronic total energy is -5.51 eV per atom. The calculation puts the excess energy over the best structure of this formula in the dataset at 2.383 eV per formula unit.


A plane-wave DFT calculation with PBE was carried out for an optimized crystal structure of AcZrSn.

Cell and atoms, written as POSCAR:
```
AcZrSn
1.0
0.000 3.692 3.692
3.692 0.000 3.692
3.692 3.692 0.000
Ac Zr Sn
1 1 1
Direct
0.000 0.000 0.000 Ac
0.500 0.500 0.500 Zr
0.250 0.250 0.250 Sn
```

The total magnetization is 0.01 μB/atom. As for the crystal system: cubic. The volume comes out at 101 Å³ per cell. The value obtained for the electronic total energy is -5.54 eV per atom. The calculation puts the excess energy over the best structure of this formula in the dataset at 0.000 eV per formula unit.

~~~~~

Run P
{
  "formula": "TbAgTe3Pb",
  "functional": "GGA-PBE",
  "state": "relaxed",
  "lattice": [[12.4750, 0.0000, 0.0000], [0.0000, 4.5403, 0.0000], [0.0000, 0.0000, 12.7377]],
  "species": ["Tb", "Tb", "Tb", "Tb", "Ag", "Ag", "Ag", "Ag", "Te", "Te", "Te", "Te", "Te", "Te", "Te", "Te", "Te", "Te", "Te", "Te", "Pb", "Pb", "Pb", "Pb"],
  "frac_coords": [[0.0264, 0.2500, 0.1888], [0.4736, 0.7500, 0.6888], [0.5264, 0.2500, 0.3112], [0.9736, 0.7500, 0.8112], [0.2377, 0.7500, 0.2941], [0.2623, 0.2500, 0.7941], [0.7377, 0.7500, 0.2059], [0.7623, 0.2500, 0.7059], [0.0272, 0.7500, 0.3645], [0.0910, 0.2500, 0.9373], [0.2194, 0.7500, 0.6716], [0.2806, 0.2500, 0.1716], [0.4090, 0.7500, 0.4373], [0.4728, 0.2500, 0.8645], [0.5272, 0.7500, 0.1355], [0.5910, 0.2500, 0.5627], [0.7194, 0.7500, 0.8284], [0.7806, 0.2500, 0.3284], [0.9090, 0.7500, 0.0627], [0.9728, 0.2500, 0.6355], [0.1917, 0.2500, 0.4804], [0.3083, 0.7500, 0.9804], [0.6917, 0.2500, 0.0196], [0.8083, 0.7500, 0.5196]],
  "m_tot_mub_per_cell": 0.0,
  "sg": "Pnma"
}

Run Q
{
  "formula": "TbAgTe3Pb",
  "functional": "GGA-PBE",
  "state": "relaxed",
  "lattice": [[2.1692, -7.4357, 0.0000], [2.1692, 7.4357, 0.0000], [0.0000, 0.0000, 11.2865]],
  "species": ["Tb", "Tb", "Ag", "Ag", "Te", "Te", "Te", "Te", "Te", "Te", "Pb", "Pb"],